Academy of Collaborative Education


Board Meeting

Date and Time

Wednesday January 15, 2025 at 3:30 PM


Academy of Collaborative Education

505 Glenmar Avenue

Monroe, LA 71201

Pursuant to Louisiana Open Meetings Law - La. R.S. 42:19, notice is hereby given to the members of the Board of Directors of Academy of Collaborative Education and to the general public that the Board will hold a regular, special, or re-scheduled meeting, open to the public as specified below. To ensure compliance with the Open Meeting Law, recipients of this message should not forward it to other Board members, and Board members should not reply to this message.

Directors Present

Amy Marcus, Carmen Parks, Holly Allen (remote), Kara Maggorie (remote), Latner McDonald, Richard Cannon, Rob Turner

Directors Absent


Ex Officio Members Present

Dawn Stanfield (remote), Karen Roberson

Non Voting Members Present

Dawn Stanfield (remote), Karen Roberson

Guests Present

Diamond Melton, Madison Bachhofer, Tammy Morgan (remote)

I. Opening Items


Record Attendance


Call the Meeting to Order

Amy Marcus called a meeting of the board of directors of Academy of Collaborative Education to order on Wednesday Jan 15, 2025 at 3:34 PM.


Approve Minutes

Latner McDonald made a motion to approve the minutes from Board Meeting on 11-20-24.
Rob Turner seconded the motion.

Board members voted and matter was unanimously Approved,

The board VOTED to approve the motion.


Tammy Morgan-guest today/due diligence relative to the CSP

Tammy Morgan is with LDOE.

II. Staff and Students Report


Staff vacancies, interviews, substitutes, pre-existing staff covering classes, and student count

Karen Roberson:  Two (2) classroom teachers are currently needed. Interviews are on-going. current teachers are working collaboratively to fill gaps to ensure that students receive core educational services. A substitute teacher, who was a former classroom teacher, is in place. ACE currently has 90 total students enrolled with another to begin next week.

III. Academic Excellence


Preparation for standardized testing (LEAP, LEAP CONNECT, ETC.)

Karen Roberson:  Dr. Beck is serving as a consultant to Karen Robenson. Testing preparation materials have not arrived but are anticipated. The goal is to prepare the test administrators first, then follow up with teachers, etc.


1) 2nd 9-weeks staff survey and 2) Progress toward IEP Goals

Carmen Parks: Survey was sent out to staff requesting information on where staff feels that more support or training is needed, etc.


Joellen Freeman:  They are currently analyzing data re: IEP progress and will report back to Board at a later date on findings.

IV. CEO Support And Eval



Board on Track survey completed with 100% response. Data will be analyzed and reported back out at a later date.

V. Facility/Development


Reconfiguration of existing classrooms to accommodate 6th-grade 2025-2026

Rob Turner (Chair of Building Committee) - Phase 1 of anticipated remodeling is projected to begin Summer 2025, with intent to remodel 2 existing classrooms to allow for 4 classrooms, which should accommodate 6th grade classes for 2025-26 school year. All pending board and other needed approvals.All renovations will maintain fire security and safety precautions. 


Plans for expansion for 7th and 8th grades

Rob Turner (Chair of Building Committee) - Phase 2 of anticipated remodeling is expected to accommodate ACE expansion into grades 7 and 8. All pending board and other needed approvals. An architect has reviewed anticipated plans, which will reconfigure the existing gym area to include 4-5 additional classrooms, ADA compliant bathrooms, lab space, storage, etc. All renovations will maintain fire security and safety precautions. 


Set meeting schedule

Building Committee will discuss the setting of a regular meeting date and report back to Amy Marcus.

VI. Finance


Elect Treasurer

Amy Marcus nominated Latner McDonald as Board Treasurer and Richard Cannon seconded that motion. Roll call taken of all Board members, with unanimous approval.



Latner McDonald and Joellen Freeman:  Louisiana dispersed a stipend for all Louisiana teachers. Stipend money was sent to ACE but funding did not account for all ACE teachers. A request for an adjustment was sent to the state and recently approved. Funding is expected and will be disbursed as appropriate once received.


CSP Grant update: expenditures, allocations, and draw-downs thus far

Joellen Freeman: ACE's budget was set and approved by Tammy Morgan with BESE. ACE recently uploaded required documentation in support of 1st draw down from CSP funds. Approved yesterday and funding expected in due course. ACE working now toward required documentation for 2nd draw.

_Inserted here: calculated crystals_
=====
# 1
Computed, not measured: a relaxed GdErRu2 crystal at the PBE level of DFT.

ρ = 11.13 g cm⁻³
Formation enthalpy at 0 K = -0.317 eV/atom

Cell and atoms, written as CIF:
```
data_GdErRu2
_chemical_formula_sum 'Gd1 Er1 Ru2'
_cell_length_a 3.399
_cell_length_b 3.399
_cell_length_c 6.801
_cell_angle_alpha 90.00
_cell_angle_beta 90.00
_cell_angle_gamma 90.00
_symmetry_space_group_name_H-M 'P 4/m m m'
_symmetry_Int_Tables_number 123
_symmetry_space_group_name_Hall '-P 4 2'
loop_
_atom_site_label
_atom_site_type_symbol
_atom_site_fract_x
_atom_site_fract_y
_atom_site_fract_z
Gd1 Gd 0.000 0.000 0.000
Er1 Er 0.000 0.000 0.500
Ru1 Ru 0.500 0.500 0.254
```

***

# 2
Computed, not measured: a relaxed Cr2PdSe2 crystal at the PBE level of DFT.

ρ = 7.32 g cm⁻³
Uncorrected formation energy = 0.06 eV/atom

Cell and atoms, written as CIF:
```
data_Cr2PdSe2
_chemical_formula_sum 'Cr4 Pd2 Se4'
_cell_length_a 3.468
_cell_length_b 3.468
_cell_length_c 13.900
_cell_angle_alpha 90.00
_cell_angle_beta 90.00
_cell_angle_gamma 90.00
_symmetry_space_group_name_H-M 'I 4/m m m'
_symmetry_Int_Tables_number 139
_symmetry_space_group_name_Hall '-I 4 2'
loop_
_atom_site_label
_atom_site_type_symbol
_atom_site_fract_x
_atom_site_fract_y
_atom_site_fract_z
Cr1 Cr 0.000 0.500 0.250
Pd1 Pd 0.000 0.000 0.000
Se1 Se 0.000 0.000 0.376
```

***

no.,ΔE to the lowest computed polymorph (eV/atom),size of the total moment (μB per formula unit)
1,0.0000,6.9
2,0.1033,0.6

=====

A relaxed RbHfVO5 crystal. Source: the Alexandria database, functional PBE+U.

Cell: 6.1221 6.1221 7.7627 Å, 104.95 104.95 105.68°
Closest atoms and distances in Å follow each position.
Fractional positions:
1 Rb 0.6707 0.3293 0.7500  7 O 2.70-2.89
2 O 0.2804 0.8723 0.6118  1 V 1.76
3 O 0.9471 0.0529 0.7500  2 Hf 2.01
4 O 0.2214 0.3839 0.6089  1 V 1.75
5 O 0.0529 0.9471 0.2500  2 Hf 2.01
6 Hf 0.0000 0.0000 0.0000  6 O 2.01-2.18
7 Rb 0.3293 0.6707 0.2500  7 O 2.70-2.89
8 V 0.3115 0.6885 0.7500  4 O 1.75-1.76
9 Hf 0.0000 0.0000 0.5000  6 O 2.01-2.18
10 O 0.7196 0.1277 0.3882  1 V 1.76
11 V 0.6885 0.3115 0.2500  4 O 1.75-1.76
12 O 0.8723 0.2804 0.1118  1 V 1.76
13 O 0.6161 0.7786 0.8911  1 V 1.75
14 O 0.7786 0.6161 0.3911  1 V 1.75
15 O 0.3839 0.2214 0.1089  1 V 1.75
16 O 0.1277 0.7196 0.8882  1 V 1.76

* Fermi-level density of states: 0.000 states/eV per atom
* V: 15.8 Å³ per atom
* VASP energy: -7.92 eV per atom
* symmetry: C2/c
* mass density: 5.2 g cm⁻³

=====

A geometry-optimized NaTl2Te2 structure. Source: Alexandria via LeMat-Bulk, functional PBE.

Lattice parameters (Å, degrees): 6.4912 6.4912 6.4912 124.79 124.79 81.88
Element x y z (fractional)
Na 0.0000 0.0000 0.0000
Tl 0.3454 0.3454 0.0000
Tl 0.6546 0.6546 0.0000
Te 0.2500 0.7500 0.5000
Te 0.7500 0.2500 0.5000

## Properties
- Formation energy from raw total energies: -0.268 eV per atom
- ρ: 6.4 Mg/m³
- Offset from the most stable computed form: 0.111 eV per atom
- Calculated total energy: -2.735 eV/atom

---
=====


Progressive credit line

Joellen Freemen:  ACE was approved for a $200,000 line of credit from Progressive Bank. Funding is anticipated to be used as a bridge pending receipt of CSP funding.

VII. Fundraising/Development


Fundraising and Capital Campaign Update

Madison Bachhofer: 2025 Fundraising Events -

(1) Puzzle campaign to continue until end of May 2025.

(2) Golf Tournament October 2025. Netted $26,000 from 2024 tournament.

_Data records that have nothing to do with the article_
-- begin --
1.
The following is a DFT calculation (GGA-PBE) of an optimized crystal structure of ZrZn4Cu4.

```
data_ZrZn4Cu4
_chemical_formula_sum 'Zr2 Zn8 Cu8'
_cell_length_a 8.4332
_cell_length_b 8.4332
_cell_length_c 3.6769
_cell_angle_alpha 90.00
_cell_angle_beta 90.00
_cell_angle_gamma 90.00
_symmetry_space_group_name_H-M 'I 4/m m m'
_symmetry_Int_Tables_number 139
_symmetry_space_group_name_Hall '-I 4 2'
loop_
_atom_site_label
_atom_site_fract_x
_atom_site_fract_y
_atom_site_fract_z
_atom_site_occupancy
Zr1 0.0000 0.0000 0.0000 1
Zn1 0.0000 0.3320 0.0000 1
Cu1 0.1742 0.1742 0.5000 1
```

E_form   -0.069 eV per atom
Energy   -3.4054 eV/atom

***

2.
The following is a DFT calculation (GGA-PBE) of an optimized crystal structure of ZrZnCu2.

```
data_ZrZnCu2
_chemical_formula_sum 'Zr2 Zn2 Cu4'
_cell_length_a 8.6969
_cell_length_b 2.7598
_cell_length_c 5.2875
_cell_angle_alpha 90.00
_cell_angle_beta 100.18
_cell_angle_gamma 90.00
_symmetry_space_group_name_H-M 'C 1 m 1'
_symmetry_Int_Tables_number 8
loop_
_symmetry_equiv_pos_as_xyz
'x,y,z'
'x,-y,z'
'x+1/2,y+1/2,z'
'x+1/2,-y+1/2,z'
loop_
_atom_site_label
_atom_site_fract_x
_atom_site_fract_y
_atom_site_fract_z
_atom_site_occupancy
Zr1 0.0000 0.0000 0.0000 1
Zn1 0.2630 0.5000 0.3215 1
Cu1 0.0044 0.5000 0.5075 1
Cu2 0.2410 0.0000 0.7276 1
```

E_form   -0.015 eV per atom
Energy   -4.5186 eV/atom

***

3.
The following is a DFT calculation (GGA-PBE) of an optimized crystal structure of ZrZnCu2.

```
data_ZrZnCu2
_chemical_formula_sum 'Zr2 Zn2 Cu4'
_cell_length_a 6.3441
_cell_length_b 6.3206
_cell_length_c 3.1417
_cell_angle_alpha 90.00
_cell_angle_beta 90.11
_cell_angle_gamma 90.00
_symmetry_space_group_name_H-M 'C 1 2/m 1'
_symmetry_Int_Tables_number 12
loop_
_symmetry_equiv_pos_as_xyz
'x,y,z'
'-x,-y,-z'
'-x,y,-z'
'x,-y,z'
'x+1/2,y+1/2,z'
'-x+1/2,-y+1/2,-z'
'-x+1/2,y+1/2,-z'
'x+1/2,-y+1/2,z'
loop_
_atom_site_label
_atom_site_fract_x
_atom_site_fract_y
_atom_site_fract_z
_atom_site_occupancy
Zr1 0.0000 0.0000 0.0000 1
Zn1 0.0000 0.5000 0.0000 1
Cu1 0.2500 0.2500 0.5000 1
```

E_form   -0.002 eV per atom
Energy   -4.5061 eV/atom

***

4.
The following is a DFT calculation (GGA-PBE) of an optimized crystal structure of ZrZn4Cu.

```
data_ZrZn4Cu
_chemical_formula_sum 'Zr4 Zn16 Cu4'
_cell_length_a 13.2110
_cell_length_b 6.4535
_cell_length_c 4.7133
_cell_angle_alpha 90.00
_cell_angle_beta 104.16
_cell_angle_gamma 90.00
_symmetry_space_group_name_H-M 'C 1 2/m 1'
_symmetry_Int_Tables_number 12
loop_
_symmetry_equiv_pos_as_xyz
'x,y,z'
'-x,-y,-z'
'-x,y,-z'
'x,-y,z'
'x+1/2,y+1/2,z'
'-x+1/2,-y+1/2,-z'
'-x+1/2,y+1/2,-z'
'x+1/2,-y+1/2,z'
loop_
_atom_site_label
_atom_site_fract_x
_atom_site_fract_y
_atom_site_fract_z
_atom_site_occupancy
Zr1 0.2117 0.0000 0.1498 1
Zn1 0.0000 0.1902 0.0000 1
Zn2 0.1247 0.1924 0.5842 1
Zn3 0.1528 0.5000 0.2626 1
Cu1 0.0533 0.5000 0.7549 1
```

E_form   -0.043 eV per atom
Energy   -2.9996 eV/atom

***

5.
-- stop --

(3) River Rats Paddleboard Challenge September 2025. Will report back on funding raised.

(4) Mr. P. Tee's" - committed to creation of shirt for sale at "Spring Market" with all proceeds to ACE.

(5) Riverdale School Basketball Event 2025 - Raised $4,500.00. Committed to annual event.

(6) Perpetual Giving - looking into long-term perpetual giving campaign.


Joellen Freeman:  Bank needs projected annual fundraising goal.

VIII. Governance


Governance update and scheduling set meetings

Anticipate setting meeting at 1 pm on 2nd Tuesday of each month. 


Material Amendment for expansion

Amendment turned in. No expectation that ACE will need to go back before BESE Board,.


Legacy Seat and Term Limit amendments

Richard Cannon:  Class 1 members (elected board members) serve 3-year term with no term limits. Class 2 members (elected parent volunteer,) serve 1-year term with no term limits. Legacy member (surviving spouse or descendent of Maddie Cannon) serve 5-year term with no term limit, to continue until resignation.


Amy Marcus moved to approve motion and Latner McDonald seconded the motion.

Roll Call of Board with no objections, unanimously passed.

IX. Other Business


Do we have any further business?

Joellen Freeman:  Anna Grimmet expressed interest in re-joining ACE Board. Amy Marcus will reach out and report back to board.


Parent Board Member - Suggestion was made to set parent volunteer term to align with school calendar.


Amy Marcus:  Advisory Board - Discussion. Board agreed to table discussion until either a special meeting or Board retreat.


Amy Marcus:  Board in need of additional training surrounding CSP Grant and the exercise of their fiduciary responsibilities over funding. Amy is working to set up virtually.


Amy Marcus:  Board chairs in need of additional training on responsibilities in meeting requirements under the Louisiana Open Meetings Law.

X. Closing Items


Adjourn Meeting

There being no further business to be transacted, and upon motion duly made, seconded and approved, the meeting was adjourned at 4:39 PM.

Respectfully Submitted,
Holly Allen